My leadership skill got fully developed when I co-founded and became head of the Philippine Internet Commerce Society from 1997 to 2002. It is where I discovered my purpose in life which is to enable people, especially those from rural areas from it – recognizing e-commerce as a great equalizer.
The leadership skills I developed then became helpful in my other endeavors. These life lessons are:
Leadership Programs
“Everything rises and falls on LEADERSHIP.” – John C. Maxwell
To rise as a leader requires continuous investment in developing yourself. Do the same to others to build momentum towards what you want to achieve.
In 2014, I embarked on my first Digital Leaders Boot Camp putting into a class format most of the things I learned about leadership and documented in my blog. But I did not feel comfortable using other people’s content and learnings as my own, hence I decided to become John Maxwell Team Member.

My leadership principles are greatly influenced by John Maxwell. I consider them to be stable and dependable.
His teachings are familiar and helped many to survive tough times including failures, dealing with people, and improve the way you think.
I am sure that using John Maxwell’s teaching as a mastermind will be comforting and give predictable assurance that a leader, regardless of age, will experience personal growth if they follow the process.
As Independent Executive Director with the John Maxwell Team, I can provide you with the following leadership mastermind and programs.

Learn what it really means to be a leader.
The true measure of leadership is influence. Through this mastermind experience, you will learn how to improve your influence with others and lead them with confidence. You will also understand how to use your influence with others to help them accomplish their goals which in turn will help you achieve yours.
Upon completion of this training, participants will receive a certificate.
You can join this program as a one-on-one online mastermind with Janette Toral that can be taken in 4 sessions or 10 sessions. Two laws are discussed in each session.
Live (and Lead) With Purpose!
Based on John C. Maxwell’s book, The 21 Irrefutable Laws of Leadership, this workshop will provide you with practical tools you need to address the leadership challenges you encounter daily within your profession.
Calculated crystals, kept here for reference.
'''
1.
The following is a DFT calculation (PBE) of a relaxed ZrNCl crystal.

Structure (POSCAR):
```
ZrNCl
1.0
1.6808 -2.9113 0.0000
1.6808 2.9113 0.0000
0.0000 0.0000 12.2929
Cl Zr N
2 2 2
direct
0.3333 0.6667 0.6420
0.6667 0.3333 0.3580
0.0000 0.0000 0.1956
0.0000 0.0000 0.8044
0.3333 0.6667 0.8689
0.6667 0.3333 0.1311
```

Values from the calculation:
Size of the total moment = 0.0 μB per formula unit
E = -45.17 eV for the cell shown



2.
The following is a DFT calculation (PBE) of a relaxed Zn3Si4Sb2O14 crystal.

Structure (POSCAR):
```
Zn3Si4Sb2O14
1.0
-7.8394 -4.1116 3.1577
-2.3801 -9.0513 -0.8610
0.4207 -6.4086 8.4488
O Si Sb Zn
28 8 4 6
direct
0.7297 0.0569 0.6786
0.9233 0.4998 0.9246
0.5153 0.0692 0.1312
0.9366 0.8980 0.3992
0.4847 0.9308 0.8688
0.6575 0.2025 0.1829
0.6134 0.4932 0.5634
0.8980 0.9366 0.8992
0.3866 0.5068 0.4366
0.3667 0.2956 0.7378
0.9431 0.2703 0.8214
0.4998 0.9233 0.4246
0.0692 0.5153 0.6312
0.4932 0.6134 0.0634
0.2025 0.6575 0.6829
0.1020 0.0634 0.1008
0.9308 0.4847 0.3688
0.5002 0.0767 0.5754
0.2703 0.9431 0.3214
0.5068 0.3866 0.9366
0.0569 0.7297 0.1786
0.2956 0.3667 0.2378
0.0634 0.1020 0.6008
0.6333 0.7044 0.2622
0.7975 0.3425 0.3171
0.3425 0.7975 0.8171
0.0767 0.5002 0.0754
0.7044 0.6333 0.7622
0.5225 0.0890 0.7125
0.2668 0.4917 0.6134
0.4917 0.2668 0.1134
0.5083 0.7332 0.8866
0.7332 0.5083 0.3866
0.4775 0.9110 0.2875
0.9110 0.4775 0.7875
0.0890 0.5225 0.2125
0.0000 0.0000 0.5000
0.7966 0.2034 0.7500
0.0000 0.0000 0.0000
0.2034 0.7966 0.2500
0.6902 0.9854 0.3917
0.0146 0.3098 0.1083
0.5805 0.4195 0.2500
0.4195 0.5805 0.7500
0.9854 0.6902 0.8917
0.3098 0.0146 0.6083
```

Values from the calculation:
Size of the total moment = 0.0 μB per formula unit
E = -296.68 eV for the cell shown



3.
The following is a DFT calculation (PBE) of a relaxed Li2AgF3 crystal.

Structure (POSCAR):
```
Li2AgF3
1.0
4.7213 2.7382 0.0000
-4.7213 2.7382 0.0000
0.0000 1.7427 5.2379
F Li Ag
6 4 2
direct
0.1063 0.4063 0.6939
0.4063 0.1063 0.6939
0.5937 0.8937 0.3061
0.1960 0.1960 0.2501
0.8040 0.8040 0.7499
0.8937 0.5937 0.3061
0.0000 0.0000 0.0000
0.1552 0.8448 0.5000
0.5000 0.5000 0.5000
0.8448 0.1552 0.5000
0.6775 0.3225 0.0000
0.3225 0.6775 0.0000
```

Values from the calculation:
Size of the total moment = 0.0 μB per formula unit
E = -51.13 eV for the cell shown

=====

4
Lattice="-5.083 -1.036 4.995 -6.540 1.631 -2.535 5.348 -4.127 -2.496" Properties=species:S:1:pos:R:3 comment="BaEu3, relaxed, DFT GGA-PBE" vol_a3_per_atom=49.0 crystal_system=tetragonal total_energy_ev_per_atom=-8.126 pbc="T T T"
Ba 0.000 0.000 0.000
Eu -2.774 -2.433 1.864
Eu -3.502 -1.099 -1.901
Eu -5.812 0.297 1.230

=====

Density functional theory data (PBE) for crystalline Ba2GdPaO6 at its relaxed geometry.

Output
ΔE_f (eV/atom): -3.706
Crystal system: cubic
VASP energy (eV/atom): -9.006

abc: 6.3138 6.3138 6.3138
angles: 60.00 60.00 60.00
Sites, in units of the cell vectors:
Ba 0.7500 0.7500 0.7500
Ba 0.2500 0.2500 0.2500
Gd 0.5000 0.5000 0.5000
'''
Upon completion of this training, participants will receive a certificate.
This can be a 2-day training for companies. Individuals can take it one-on-one as a 6-sessions online mastermind.
Learn and Grow Through The Power of Connecting with Like-Minded Leaders and Achievers
Masterminds Programs
There is synergy of energy, commitment and excitement that participants bring to a mastermind group. My facilitated groups offer a combination of masterminding, peer brainstorming, education, accountability and support in a group setting to sharpen your business and personal skills. By bringing fresh ideas and a different perspective, my masterminds can help you achieve success.

As Independent Executive Director with the John Maxwell Team, I can provide you with the following masterminds programs.